Listing =
=====
# 1
{
  "formula": "C18H42N5O5S",
  "method": "the ωB97M-V functional and the def2-TZVPD basis",
  "total_energy_ha": -1758.9581,
  "charge": 1,
  "homo_ev": -11.01,
  "molar_mass_g_mol": 440.631,
  "lumo_ev": -2.7,
  "symbols": ["C", "C", "O", "C", "C", "C", "C", "S", "N", "H", "H", "H", "H", "H", "H", "H", "H", "H", "H", "H", "H", "H", "H", "C", "O", "N", "C", "C", "H", "H", "H", "H", "H", "H", "H", "C", "O", "N", "C", "C", "H", "H", "H", "H", "H", "H", "H", "C", "O", "N", "C", "C", "H", "H", "H", "H", "H", "H", "H", "C", "O", "N", "C", "C", "H", "H", "H", "H", "H", "H", "H"],
  "positions_angstrom": [[-0.676, -2.467, 2.106], [-1.537, -1.644, 3.070], [-0.883, -0.464, 3.554], [-1.199, 0.681, 2.872], [-0.295, 1.088, 1.726], [-0.078, 2.624, 1.797], [-1.125, 3.040, 2.863], [-2.764, 3.179, 2.034], [-1.050, 1.879, 3.768], [0.279, -1.984, 1.935], [-1.170, -2.578, 1.154], [-0.483, -3.440, 2.522], [-1.754, -2.250, 3.938], [-2.498, -1.433, 2.605], [-2.262, 0.675, 2.645], [0.680, 0.638, 1.886], [-0.646, 0.696, 0.785], [0.892, 2.942, 2.169], [-0.232, 3.114, 0.853], [-0.967, 3.989, 3.342], [-2.403, 3.560, 0.804], [-1.591, 1.910, 4.636], [-0.076, 1.878, 4.103], [1.697, 1.814, -1.704], [0.783, 1.651, -0.904], [2.957, 1.413, -1.508], [3.995, 1.637, -2.502], [3.290, 0.733, -0.270], [1.546, 2.311, -2.673], [4.408, 0.681, -2.826], [4.794, 2.245, -2.073], [3.587, 2.149, -3.370], [2.694, -0.175, -0.168], [3.077, 1.381, 0.583], [4.345, 0.475, -0.269], [-6.350, 3.679, 1.543], [-6.624, 4.701, 0.947], [-7.234, 2.714, 1.863], [-6.841, 1.516, 2.575], [-8.625, 2.890, 1.476], [-5.318, 3.459, 1.878], [-7.058, 0.631, 1.973], [-7.384, 1.442, 3.519], [-5.773, 1.544, 2.785], [-8.703, 2.989, 0.394], [-9.028, 3.795, 1.930], [-9.205, 2.031, 1.804], [4.820, 2.255, -6.723], [3.945, 2.091, -5.891], [6.096, 1.855, -6.585], [7.091, 2.080, -7.618], [6.485, 1.177, -5.362], [4.628, 2.757, -7.685], [7.496, 1.127, -7.963], [7.907, 2.690, -7.228], [6.640, 2.595, -8.462], [5.895, 0.268, -5.234], [6.306, 1.825, -4.502], [7.540, 0.921, -5.407], [0.725, -5.901, 1.166], [0.373, -4.865, 0.629], [-0.067, -6.968, 1.361], [0.411, -8.177, 2.006], [-1.446, -6.903, 0.906], [1.752, -6.050, 1.541], [0.317, -9.027, 1.327], [-0.171, -8.379, 2.907], [1.457, -8.064, 2.282], [-1.478, -6.728, -0.169], [-1.966, -6.082, 1.400], [-1.949, -7.839, 1.135]],
  "lowdin_charge": [-0.05, -0.20, -0.07, -0.36, -0.10, -0.16, -0.54, 0.86, 0.11, 0.08, 0.08, 0.06, 0.12, 0.12, 0.12, 0.12, 0.12, 0.12, 0.09, 0.11, -0.08, 0.20, 0.20, -0.32, -0.02, -0.18, -0.05, -0.04, 0.14, 0.09, 0.09, 0.07, 0.09, 0.08, 0.09, -0.37, 0.02, -0.20, -0.06, -0.03, 0.05, 0.09, 0.09, 0.07, 0.10, 0.10, 0.09, -0.35, 0.00, -0.20, -0.05, -0.04, 0.14, 0.09, 0.09, 0.08, 0.09, 0.08, 0.09, -0.35, -0.01, -0.20, -0.05, -0.04, 0.14, 0.09, 0.09, 0.08, 0.09, 0.09, 0.09]
}

***

# 2
{
  "formula": "C4H6O2",
  "method": "the ωB97M-V functional and the def2-TZVPD basis",
  "total_energy_ha": -306.3554,
  "charge": 0,
  "homo_ev": -9.36,
  "molar_mass_g_mol": 86.090,
  "lumo_ev": 0.8,
  "symbols": ["O", "C", "O", "C", "C", "C", "H", "H", "H", "H", "H", "H"],
  "positions_angstrom": [[-1.332, 1.729, 0.978], [-0.532, 1.404, 0.155], [1.132, 1.134, 0.624], [0.637, -0.066, 0.723], [0.759, -1.138, -0.260], [-0.585, -0.427, -0.517], [-0.217, 1.874, -0.773], [0.107, -0.334, 1.647], [1.502, -0.982, -1.038], [0.700, -2.160, 0.108], [-0.706, -0.134, -1.555], [-1.465, -0.901, -0.092]],
  "nbo_charge": [-0.59, 0.53, -0.61, 0.30, -0.46, -0.49, 0.18, 0.18, 0.24, 0.23, 0.24, 0.23]
}

***

# 3
{
  "formula": "C42H35Cl5F6N6PSbTi",
  "method": "the ωB97M-V functional and the def2-TZVPD basis",
  "total_energy_ha": -6280.8433,
  "charge": 2,
  "homo_ev": -11.72,
  "molar_mass_g_mol": 1115.638,
  "lumo_ev": -7.9,
=====

Activity =
Now repeat the whole of the entries earlier on exactly.

Solution =
# 1
{
  "formula": "C18H42N5O5S",
  "method": "the ωB97M-V functional and the def2-TZVPD basis",
  "total_energy_ha": -1758.9581,
  "charge": 1,
  "homo_ev": -11.01,
  "molar_mass_g_mol": 440.631,
  "lumo_ev": -2.7,
  "symbols": ["C", "C", "O", "C", "C", "C", "C", "S", "N", "H", "H", "H", "H", "H", "H", "H", "H", "H", "H", "H", "H", "H", "H", "C", "O", "N", "C", "C", "H", "H", "H", "H", "H", "H", "H", "C", "O", "N", "C", "C", "H", "H", "H", "H", "H", "H", "H", "C", "O", "N", "C", "C", "H", "H", "H", "H", "H", "H", "H", "C", "O", "N", "C", "C", "H", "H", "H", "H", "H", "H", "H"],
  "positions_angstrom": [[-0.676, -2.467, 2.106], [-1.537, -1.644, 3.070], [-0.883, -0.464, 3.554], [-1.199, 0.681, 2.872], [-0.295, 1.088, 1.726], [-0.078, 2.624, 1.797], [-1.125, 3.040, 2.863], [-2.764, 3.179, 2.034], [-1.050, 1.879, 3.768], [0.279, -1.984, 1.935], [-1.170, -2.578, 1.154], [-0.483, -3.440, 2.522], [-1.754, -2.250, 3.938], [-2.498, -1.433, 2.605], [-2.262, 0.675, 2.645], [0.680, 0.638, 1.886], [-0.646, 0.696, 0.785], [0.892, 2.942, 2.169], [-0.232, 3.114, 0.853], [-0.967, 3.989, 3.342], [-2.403, 3.560, 0.804], [-1.591, 1.910, 4.636], [-0.076, 1.878, 4.103], [1.697, 1.814, -1.704], [0.783, 1.651, -0.904], [2.957, 1.413, -1.508], [3.995, 1.637, -2.502], [3.290, 0.733, -0.270], [1.546, 2.311, -2.673], [4.408, 0.681, -2.826], [4.794, 2.245, -2.073], [3.587, 2.149, -3.370], [2.694, -0.175, -0.168], [3.077, 1.381, 0.583], [4.345, 0.475, -0.269], [-6.350, 3.679, 1.543], [-6.624, 4.701, 0.947], [-7.234, 2.714, 1.863], [-6.841, 1.516, 2.575], [-8.625, 2.890, 1.476], [-5.318, 3.459, 1.878], [-7.058, 0.631, 1.973], [-7.384, 1.442, 3.519], [-5.773, 1.544, 2.785], [-8.703, 2.989, 0.394], [-9.028, 3.795, 1.930], [-9.205, 2.031, 1.804], [4.820, 2.255, -6.723], [3.945, 2.091, -5.891], [6.096, 1.855, -6.585], [7.091, 2.080, -7.618], [6.485, 1.177, -5.362], [4.628, 2.757, -7.685], [7.496, 1.127, -7.963], [7.907, 2.690, -7.228], [6.640, 2.595, -8.462], [5.895, 0.268, -5.234], [6.306, 1.825, -4.502], [7.540, 0.921, -5.407], [0.725, -5.901, 1.166], [0.373, -4.865, 0.629], [-0.067, -6.968, 1.361], [0.411, -8.177, 2.006], [-1.446, -6.903, 0.906], [1.752, -6.050, 1.541], [0.317, -9.027, 1.327], [-0.171, -8.379, 2.907], [1.457, -8.064, 2.282], [-1.478, -6.728, -0.169], [-1.966, -6.082, 1.400], [-1.949, -7.839, 1.135]],
  "lowdin_charge": [-0.05, -0.20, -0.07, -0.36, -0.10, -0.16, -0.54, 0.86, 0.11, 0.08, 0.08, 0.06, 0.12, 0.12, 0.12, 0.12, 0.12, 0.12, 0.09, 0.11, -0.08, 0.20, 0.20, -0.32, -0.02, -0.18, -0.05, -0.04, 0.14, 0.09, 0.09, 0.07, 0.09, 0.08, 0.09, -0.37, 0.02, -0.20, -0.06, -0.03, 0.05, 0.09, 0.09, 0.07, 0.10, 0.10, 0.09, -0.35, 0.00, -0.20, -0.05, -0.04, 0.14, 0.09, 0.09, 0.08, 0.09, 0.08, 0.09, -0.35, -0.01, -0.20, -0.05, -0.04, 0.14, 0.09, 0.09, 0.08, 0.09, 0.09, 0.09]
}

***

# 2
{
  "formula": "C4H6O2",
  "method": "the ωB97M-V functional and the def2-TZVPD basis",
  "total_energy_ha": -306.3554,
  "charge": 0,
  "homo_ev": -9.36,
  "molar_mass_g_mol": 86.090,
  "lumo_ev": 0.8,
  "symbols": ["O", "C", "O", "C", "C", "C", "H", "H", "H", "H", "H", "H"],
  "positions_angstrom": [[-1.332, 1.729, 0.978], [-0.532, 1.404, 0.155], [1.132, 1.134, 0.624], [0.637, -0.066, 0.723], [0.759, -1.138, -0.260], [-0.585, -0.427, -0.517], [-0.217, 1.874, -0.773], [0.107, -0.334, 1.647], [1.502, -0.982, -1.038], [0.700, -2.160, 0.108], [-0.706, -0.134, -1.555], [-1.465, -0.901, -0.092]],
  "nbo_charge": [-0.59, 0.53, -0.61, 0.30, -0.46, -0.49, 0.18, 0.18, 0.24, 0.23, 0.24, 0.23]
}

***

# 3
{
  "formula": "C42H35Cl5F6N6PSbTi",
  "method": "the ωB97M-V functional and the def2-TZVPD basis",
  "total_energy_ha": -6280.8433,
  "charge": 2,
  "homo_ev": -11.72,
  "molar_mass_g_mol": 1115.638,
  "lumo_ev": -7.9,